B&W, 1930, 62m.
### Next to the page, the page also holds calculated crystals
- - -
Theoretical X-ray powder pattern
Compound: Li8Ta4O11
Radiation: Cu Kα (weighted mean of Kα1 and Kα2)
Structure: a crystal structure in OQMD, relaxed with GGA-PBE
Lines closer than 0.1° are merged.

Principal peaks in the range 10 to 90 degrees two-theta, low angle first:
- 2θ 17.97, rel. 100
- 2θ 20.53, rel. 49
- 2θ 23.40, rel. 34
- 2θ 30.94, rel. 19
- 2θ 35.09, rel. 17
- 2θ 35.46, rel. 34
- 2θ 37.27, rel. 20
- 2θ 42.58, rel. 18
- 2θ 42.69, rel. 18
- 2θ 42.95, rel. 19

Crystal structure
Cell: 5.1255 5.1914 8.9927 Å, 74.41 88.88 80.86°
Positions (direct):
Li  0.0000  0.0000  0.0000
Li  0.0000  0.0052  0.3289
Li  0.2429  0.4872  0.2464
Li  0.4850  0.0008  0.1629
Li  0.4980  0.9989  0.5071
Li  0.5070  0.0020  0.8260
Li  0.7413  0.5016  0.7475
Li  0.9827  0.0060  0.6720
Ta  0.2200  0.5001  0.9229
Ta  0.2632  0.5076  0.5712
Ta  0.7155  0.5092  0.4191
Ta  0.7685  0.5014  0.0729
O  0.1215  0.2740  0.4666
O  0.1254  0.2344  0.1305
O  0.1380  0.2641  0.7986
O  0.3522  0.7341  0.7063
O  0.3746  0.7298  0.0336
O  0.6163  0.2693  0.9673
O  0.6226  0.2475  0.6252
O  0.6341  0.2782  0.2913
O  0.8528  0.7332  0.2045
O  0.8661  0.7664  0.8701
O  0.8766  0.7388  0.5272


Theoretical X-ray powder pattern
Compound: La4CuS7
Radiation: Cu Kα (weighted mean of Kα1 and Kα2)
Structure: a crystal structure in OQMD, relaxed with GGA-PBE
Lines closer than 0.1° are merged.

Principal peaks in the range 10 to 90 degrees two-theta, low angle first:
- 2θ 19.98, rel. 15
- 2θ 24.80, rel. 100
- 2θ 29.33, rel. 29
- 2θ 33.64, rel. 15
- 2θ 34.97, rel. 82
- 2θ 35.75, rel. 33
- 2θ 43.35, rel. 25
- 2θ 46.27, rel. 37
- 2θ 49.34, rel. 26
- 2θ 56.86, rel. 19

Crystal structure
Cell: 10.2599 6.0898 10.2619 Å, 90.00 119.95 90.00°
Positions (direct):
La  0.1413  0.9996  0.3384
La  0.1669  0.9539  0.8344
La  0.3038  0.4991  0.1414
La  0.3376  0.5000  0.6964
La  0.6624  0.0000  0.3036
La  0.6962  0.9991  0.8586
La  0.8331  0.4539  0.1656
La  0.8587  0.4996  0.6616
Cu  0.5000  0.0463  0.5000
Cu  0.5000  0.5463  0.5000
S  0.0124  0.7588  0.9728
S  0.0293  0.7607  0.5425
S  0.1666  0.4021  0.8332
S  0.2434  0.5301  0.3821
S  0.3613  0.0301  0.2435
S  0.3822  0.0303  0.6388
S  0.4596  0.7596  0.9873
S  0.5404  0.2596  0.0127
S  0.6178  0.5303  0.3612
S  0.6387  0.5301  0.7565
S  0.7566  0.0301  0.6179
S  0.8334  0.9021  0.1668
S  0.9707  0.2607  0.4575
S  0.9876  0.2588  0.0272


Theoretical X-ray powder pattern
Compound: TbEr2Al7Cu2
Radiation: Cu Kα (weighted mean of Kα1 and Kα2)
Structure: a crystal structure in OQMD, relaxed with GGA-PBE
Lines closer than 0.1° are merged.

Principal peaks in the range 10 to 90 degrees two-theta, low angle first:
- 2θ 19.07, rel. 44
- 2θ 21.00, rel. 32
- 2θ 31.07, rel. 53
- 2θ 32.77, rel. 89
- 2θ 34.02, rel. 33
- 2θ 38.19, rel. 27
- 2θ 39.24, rel. 100
- 2θ 57.43, rel. 19
- 2θ 62.86, rel. 24
- 2θ 64.79, rel. 27

Crystal structure
Cell: 9.0296 9.0296 9.0296 Å, 35.24 35.24 35.24°
Positions (direct):
Tb  0.0000  0.0000  0.0000
Er  0.1421  0.1421  0.1421
- - -
Directed by Luis Bunuel
Starring Gaston Modot, Lya Lys, Caridad de Laberdesque, Max Ernst
BFI (Blu-Ray & DVD) (UK R0 HD/PAL), Kino (US R1 NTSC)
The uneasy social tension between natural sexual urges and civil authority has provided ammunition for a lot of filmmakers, but none knew how to exploit it better than the greatest of all surrealist filmmakers, Luis Bunuel. His later color films like Belle de jour and The Phantom of Liberty thrive on tweaking audiences' libidos with a wonderfully subversive sense of humor, but perhaps the most audacious statment in this arena came at the beginning of the director's career with his first feature, L'Age d'Or. In 1930, he and his collaborator, famed surrealist painter Salvador Dali, had caused an international stir with their graphic and unforgettable short film, "Un Chien Andalou," and were poised to take their philosophy one step further. The end result proved so inflammatory that the French government ordered the film to be banned immediately, with all prints destroyed. Fortunately the negative survived, and a full-scale restoration in 1960 ensured it would survive long after the governmental forces that tried to suppress it.
Not surprisingly, the feature itself (which barely clocks in over an hour) is fragmentary in nature and, after an opening sequence comprised of documentary footage about scorpions, follows the irrational urges of a man (Modot) and woman (Lys) whose constant need to make love everywhere from a puddle of mud to a high society party is thwarted by the powers that be. Along the way they (and the viewer) are confronted by a cow in a bed, blind people, a kitchen inferno, toilet jokes, the Catholic Church, and the man's humanitarian mission leader. The film itself is actually a lot less linear than it sounds as arbitary bits of surrealistic shenanigans disrupt the proceedings at every turn, including a Sadean final chapter that had church leaders spitting nails when they saw it.
**Someone pasted crystal structures at this point:**
/*
[1]
The following is a calculated XRD peak list of Si8H. It was derived from a crystal structure in Alexandria, relaxed with PBE, using CuKα.

Atomic structure:
Cell: 6.5834 3.9181 6.7907 Å, 90.00 110.00 90.00°
Atoms (fractional coordinates):
Si1 0.0000 0.0000 0.0000
Si2 0.0040 0.5000 0.4737
Si3 0.0803 0.5000 0.8449
Si4 0.1373 0.0000 0.3659
Si5 0.4858 0.5000 0.9787
Si6 0.5168 0.0000 0.4912
Si7 0.6160 0.0000 0.8624
Si8 0.6215 0.5000 0.3521
H1 0.8160 0.5000 0.7556

Peak list (8 most intense, 5° ≤ 2θ ≤ 70°, low angle first)
| two_theta | d (Å) | Rel. int. |
| --- | --- | --- |
| 27.99 | 3.188 | 100 |
| 28.86 | 3.093 | 36 |
| 46.33 | 1.960 | 49 |
| 47.47 | 1.915 | 41 |
| 55.00 | 1.669 | 13 |
| 55.51 | 1.655 | 30 |
| 56.51 | 1.628 | 9 |
| 68.50 | 1.370 | 14 |

[2]
The following is a calculated XRD peak list of Ti2CrRh7. It was derived from a crystal structure in Alexandria, relaxed with PBE, using CuKα.

Atomic structure:
Cell: 8.3488 8.3488 2.7882 Å, 90.00 90.00 122.84°
Atoms (fractional coordinates):
Ti1 0.1722 0.8278 0.0000
Ti2 0.8278 0.1722 0.0000
Cr1 0.5000 0.5000 0.5000
Rh1 0.0000 0.0000 0.0000
Rh2 0.1893 0.3756 0.0000
Rh3 0.3088 0.6912 0.5000
Rh4 0.3756 0.1893 0.0000
Rh5 0.6244 0.8107 0.0000
Rh6 0.6912 0.3088 0.5000
Rh7 0.8107 0.6244 0.0000

Peak list (8 most intense, 5° ≤ 2θ ≤ 70°, low angle first)
| two_theta | d (Å) | Rel. int. |
| --- | --- | --- |
| 25.39 | 3.507 | 32 |
| 33.17 | 2.701 | 67 |
| 34.41 | 2.606 | 36 |
| 39.41 | 2.286 | 50 |
| 43.41 | 2.085 | 100 |
| 45.42 | 1.997 | 45 |
| 46.35 | 1.959 | 77 |
| 47.63 | 1.909 | 64 |


Computed powder diffraction line list of ZrCrCuS4 for Cu Kα, from the PBE geometry in the Materials Project.
No peak broadening, texture or thermal motion is included.

Largest 10 diffraction maxima, low angle first, 2θ = 10–90°:
| d (Å) | Position (°2θ) | intensity |
| --- | --- | --- |
| 6.158 | 14.38 | 37 |
| 4.386 | 20.25 | 47 |
| 3.630 | 24.52 | 100 |
| 2.690 | 33.31 | 27 |
| 2.502 | 35.89 | 35 |
| 2.463 | 36.49 | 61 |
| 2.193 | 41.16 | 28 |
| 2.102 | 43.03 | 37 |
| 2.094 | 43.21 | 35 |
| 1.815 | 50.27 | 29 |

Structure:
```
28
Lattice="7.259 0.000 0.000 0.000 6.679 0.000 0.000 0.000 11.629" Properties=species:S:1:pos:R:3 pbc="T T T"
Zr 0.000 1.213 0.000
Zr 0.000 1.971 8.123
Zr 3.630 4.708 2.309
Zr 3.630 5.466 5.815
Cr 0.000 4.336 6.325
Cr 0.000 5.394 9.057
Cr 3.630 1.285 3.242
Cr 3.630 2.343 0.510
Cu 0.000 0.269 4.422
Cu 0.000 3.875 1.151
Cu 3.630 2.803 6.966
Cu 3.630 6.410 10.236
S 0.000 2.381 5.415
S 0.000 3.516 10.504
S 0.000 6.067 1.465
S 0.000 6.523 6.903
S 1.529 0.389 9.791
S 1.729 3.971 7.813
S 1.901 2.708 1.998
S 2.101 6.290 3.976
S 3.630 0.156 1.088
S 3.630 0.612 7.280
S 3.630 3.163 4.689
S 3.630 4.297 11.229
S 5.158 6.290 3.976
S 5.358 2.708 1.998
S 5.531 3.971 7.813
S 5.731 0.389 9.791
```

=====

Computed powder diffraction line list of ZrCrCuS4 for Cu Kα, from the PBE geometry in the Materials Project.
No peak broadening, texture or thermal motion is included.
*/
Bunuel and Dali (who had far less involvement with the feature) parted ways after the stormy reception of this film, which was mostly buried for decades despite its worldwide infamy. Surprisingly, many of the trademarks of the former's films are already fully formed here: the anti-clerical humor, the bourgeois garden party in which propriety rules under the most absurd of circumstances, and shocking sexual fetishism, in this case a fascination for human digits that climaxes in the infamous sequence with Lys sucking on a statue's toes. Seen today it's still surprisingly strong stuff and definitely relevant in today's politically-charged times; in fact, the religious right would probably react even more viciously to this film than French officials if they actually knew it existed and tried to understand what it was saying.
The first DVD of L'Age d'Or appeared from Kino, derived from the 1995 restored negative in France but taken from a PAL master; it also features a gallery and a selected audio commentary by scholar Robert Short that covers about half the film, offering some interesting readings of the film that may be either fascinating or silly depending on one's mood. It's a nice accompaniment though and definitely worth a listen. Far more thorough is the BFI's dual format Blu-Ray and DVD release, with the former containing a surprisingly crisp and impressive 1080p transfer in the original aspect ratio of 1.19:1. The opening few minutes of scoprion footage still look pretty awful, given the fact that it's all stock footage to begin with, but the rest of the film is in terrific shape; some minor wear and tear is to be expected given the film's vintage, but it's hard to imagine anyone being less than impressed at the presentation here of a film whose existence was once in grave danger. The Short commentary is carried over here.
One very welcome addition only on the BFI release is the earlier "Un Chien Andalou," which is only available in America as a separate, sorry-looking DVD release. This HD version is significantly better (though still limited to the imperfections found in the initial restoration of the film, also done in 1960). The familiar tango-style score is included along with a new one by the UK's Mordant Music, which is far more experimental and abrasive but somehow appropriate if you want to watch it as a twisted black comedy/horror film. Short also provides a full commentary for "Andalou," talking about its groundbreaking shock value and the surrealist tropes found in each of its brief segments. The DVD version also contains two exclusive standard def extras: a 25-minute Short video intro and the excellent 99-minute documentary, A Proposito de Bunuel from 2000, which lays out the trajectory of his amazing career and should be enough to send newcomers scrambling out to snatch up more of his films on DVD. The illustrated booklet contains liner notes by Short, the original surrealist manifesto written about the film following its banning, Bu�uel's written thoughts on making it, and a Bunuel bio by Michael Brooke. Even more than 80 years later, there's never been anything quite like this one.